### Job
Type out only the lines underneath with the word "C6H14O2" in them.

### File
No. 1
Below is C19H21ClN2O3 in the gas phase, with properties calculated with wB97M-V/def2-TZVPD.

Calculated values
SMILES string   C[C@@H](NC(=O)OCc1ccccc1)C(=O)N(C)Cc1ccc(Cl)cc1

The geometry in ORCA input format:
```
! RIJCOSX wB97M-V def2-TZVPD def2/J DEFGRID3
* xyz 0 1
C 2.83841 0.54409 -2.76725
C 1.89343 -0.23629 -1.86457
N 2.62941 -1.26083 -1.13898
C 1.94716 -2.27376 -0.55159
O 0.83847 -2.63444 -0.86953
O 2.68671 -2.85702 0.41652
C 1.98575 -3.82731 1.18928
C 0.80583 -3.22279 1.90908
C -0.35969 -3.95342 2.09140
C -1.44560 -3.38685 2.73466
C -1.38003 -2.08225 3.19371
C -0.21978 -1.34879 3.01474
C 0.86950 -1.91743 2.37963
C 1.29827 0.69830 -0.79486
O 2.05341 1.37711 -0.11591
N -0.03157 0.68152 -0.59815
C -0.97695 -0.09755 -1.37033
C -0.58956 1.51797 0.45308
C -1.39414 2.64895 -0.12957
C -0.76964 3.57463 -0.95871
C -1.48552 4.60694 -1.53334
C -2.84324 4.71685 -1.27372
Cl -3.74792 6.00592 -1.98800
C -3.48304 3.80765 -0.44831
C -2.75401 2.77523 0.11625
H 2.27248 1.23236 -3.38979
H 3.39543 -0.13631 -3.40549
H 3.53287 1.11776 -2.15738
H 1.12860 -0.74778 -2.44747
H 3.46177 -0.94348 -0.66191
H 2.72861 -4.20532 1.89758
H 1.65036 -4.64335 0.54002
H -0.41850 -4.96638 1.72117
H -2.34916 -3.96291 2.86995
H -2.23143 -1.63867 3.68915
H -0.15801 -0.33135 3.37292
H 1.77246 -1.34051 2.23924
H -1.96589 0.04367 -0.94153
H -1.00877 0.23516 -2.41035
H -0.72918 -1.15961 -1.32796
H 0.25915 1.91395 1.01873
H -1.20496 0.89815 1.11200
H 0.28950 3.48253 -1.14755
H -0.99873 5.32457 -2.17481
H -4.53930 3.90528 -0.25279
H -3.25297 2.06584 0.76073
*
```

Here are the natural (NBO) charges for atoms 1 to 8, given in e: atom 1 (C): -0.61, atom 2 (C): -0.13, atom 3 (N): -0.62, atom 4 (C): 0.90, atom 5 (O): -0.66, atom 6 (O): -0.51, atom 7 (C): -0.10, atom 8 (C): 0.05

=====

No. 2
Below is a 2-piece molecular cluster, C6H14O2 overall at a distorted geometry, with properties calculated with wB97M-V/def2-TZVPD.

Calculated values
SMILES string   CC[C@H](C)CC=O.O

The geometry in ORCA input format:
```
! RIJCOSX wB97M-V def2-TZVPD def2/J DEFGRID3
* xyz 0 1
C -1.59663 1.08399 2.11293
C -1.18479 -0.07468 1.25289
C 0.19510 -0.27311 0.67263
C 0.61135 0.85432 -0.29512
C 0.24486 -1.65287 -0.07697
C 1.72781 -1.94363 -0.25836
O 2.15219 -2.35514 -1.30852
H -2.64162 0.96973 2.38901
H -1.00838 1.41532 2.96343
H -1.64391 2.01668 1.53726
H -1.45142 -1.07762 1.73199
H -1.85058 -0.08274 0.31545
H 0.88828 -0.20724 1.52160
H -0.28265 1.26481 -0.74634
H 0.99993 1.68736 0.36141
H 1.56486 0.41349 -0.76484
H -0.29074 -2.46549 0.45644
H -0.17619 -1.49799 -1.09081
H 2.28582 -1.62122 0.62781
O 0.59852 1.19096 -4.11748
H 1.10211 0.78406 -3.41278
H -0.24395 1.57102 -3.87163
*
```

Here are the natural (NBO) charges for atoms 1 to 8, given in e: atom 1 (C): -0.63, atom 2 (C): -0.39, atom 3 (C): -0.21, atom 4 (C): -0.64, atom 5 (C): -0.52, atom 6 (C): 0.44, atom 7 (O): -0.51, atom 8 (H): 0.22

=====

No. 3
Below is C6H10O in the gas phase, with properties calculated with wB97M-V/def2-TZVPD.

Calculated values
SMILES string   C[C@H]1C[C@H]2OC[C@@H]12

The geometry in ORCA input format:
```
! RIJCOSX wB97M-V def2-TZVPD def2/J DEFGRID3
* xyz 0 1
C -0.78330 -0.57597 -1.58066
C -0.93307 -0.00093 -0.16592
C -0.50143 -1.01228 0.94165
C 0.60148 -0.04728 1.38424
O 1.79851 -0.17186 0.57449
C 1.46856 1.03748 -0.15159
C 0.06150 1.04554 0.43560
H -0.90383 0.13748 -2.40613
H -1.57877 -1.32303 -1.69177
H 0.15775 -1.12111 -1.73070
H -1.97833 0.32010 -0.04681
H -1.28275 -1.18493 1.69035
H -0.10902 -1.97236 0.59287
H 0.81560 0.08609 2.45498

### Solution
Below is a 2-piece molecular cluster, C6H14O2 overall at a distorted geometry, with properties calculated with wB97M-V/def2-TZVPD.